== Excerpt ==
********
Arrangement one

18
Properties=species:S:1:pos:R:3:nbo_charge:R:1 method="wB97M-V/def2-TZVPD" charge=0 e_lumo_ev=0.773 smiles=Cc1c[nH]cn1.CO multiplicity=1 homo_ev=-8.82 homo_lumo_gap_ev=9.594
C 1.368 2.753 1.349 -0.25
O 1.208 2.670 -0.039 -0.73
H 1.390 1.791 -0.369 0.48
H 2.284 3.267 1.660 0.15
H 0.551 3.370 1.750 0.17
H 1.335 1.782 1.852 0.18
C -2.095 0.401 -0.075 -0.65
C -1.079 -0.660 -0.355 0.09
C 0.817 -1.634 0.183 0.17
C -0.944 -1.759 -1.120 -0.11
N 0.110 -0.579 0.446 -0.48
N 0.221 -2.383 -0.809 -0.53
H 1.655 -2.100 0.676 0.19
H -2.487 0.907 -0.944 0.23
H -1.702 1.057 0.696 0.25
H 0.511 -3.291 -1.144 0.42
H -1.631 -2.223 -1.804 0.21
H -2.832 -0.147 0.534 0.22

Arrangement two

18
Properties=species:S:1:pos:R:3:nbo_charge:R:1 method="wB97M-V/def2-TZVPD" charge=0 e_lumo_ev=-0.651 multiplicity=1 homo_ev=-8.17 homo_lumo_gap_ev=7.515
C 1.002 2.273 1.062 -0.67
C 1.588 0.056 0.039 -0.76
C 0.909 0.769 0.997 0.45
O 0.107 0.248 1.879 -0.72
H 2.283 0.560 -0.619 0.21
H 0.003 2.711 0.994 0.22
H 1.407 2.556 2.037 0.23
H 1.639 2.688 0.282 0.21
H -0.019 -0.412 -0.743 0.45
H 1.708 -1.016 0.153 0.22
C -1.423 -1.946 0.049 0.14
C -1.430 -0.786 -2.163 0.05
N -0.902 -0.965 -1.028 -0.46
N -1.094 -1.838 1.221 -0.56
H -0.375 -0.805 1.593 0.45
H -2.079 -2.671 -0.449 0.14
H -2.302 -1.368 -2.453 0.20
H -1.020 -0.054 -2.852 0.21

Arrangement three

18
Properties=species:S:1:pos:R:3:nbo_charge:R:1 method="wB97M-V/def2-TZVPD" charge=0 e_lumo_ev="0.750 / 0.752" multiplicity=1 homo_ev="-7.43 / -7.43" homo_lumo_gap_ev="8.185 / 8.186"
C 1.397 1.557 0.451 -0.64
N 0.210 -0.809 -0.278 -0.03
C -1.124 -0.209 -0.111 0.11
N 0.709 -1.745 0.665 -0.66
C -0.908 1.110 -0.623 -0.34
C 0.463 1.346 -0.706 0.00
C -2.122 -0.783 0.574 -0.48
O 0.297 -1.421 -1.554 -0.57
H 1.251 -1.527 -1.697 0.47
H 0.046 -2.514 0.774 0.34
H 0.799 -1.260 1.552 0.36
H -1.626 1.563 -1.289 0.22
H 0.814 1.863 -1.603 0.18
H -3.018 -0.225 0.792 0.21
H -2.099 -1.825 0.860 0.19
H 1.479 2.625 0.648 0.23
H 1.029 1.051 1.343 0.20
H 2.403 1.203 0.204 0.21

Energy ordering: arrangement one at the bottom, the next structure 0.0888 hartree above.

Arrangement one

8
Properties=species:S:1:pos:R:3:nbo_charge:R:1 method="wB97M-V/def2-TZVPD" charge=0 e_lumo_ev=0.288 smiles=COP(Br)Br multiplicity=1 homo_ev=-9.61 homo_lumo_gap_ev=9.902
C -0.765 0.544 -0.939 -0.28
O 0.485 0.170 -0.165 -0.86
P 0.534 -1.191 0.755 0.98
Br 2.758 -1.174 0.844 -0.22
Br 0.067 -0.454 2.783 -0.25
H -0.678 1.624 -0.633 0.22
H -1.723 0.029 -0.587 0.20
H -0.678 0.451 -2.058 0.21

Arrangement two

8
Properties=species:S:1:pos:R:3:nbo_charge:R:1 method="wB97M-V/def2-TZVPD" charge=0 e_lumo_ev="-0.377 / -0.972" multiplicity=1 homo_ev="-8.23 / -8.53" homo_lumo_gap_ev="7.851 / 7.558"
C 0.752 0.361 -0.126 -0.06
O 2.010 0.160 -0.804 -0.68
P -1.476 -0.679 0.850 0.38
Br -2.562 -2.331 -0.322 -0.24
Br -2.539 0.983 0.054 -0.18
H 0.226 1.153 -0.520 0.16
H 0.916 0.497 0.990 0.15
H 2.674 -0.144 -0.122 0.48

Energy ordering: arrangement one at the bottom, the next structure 0.1045 hartree above.

Arrangement one

21
Properties=species:S:1:pos:R:3:nbo_charge:R:1 method="wB97M-V/def2-TZVPD" charge=0 e_lumo_ev=0.424 smiles="CC(=O)[C@H](C)[C@H](O)C(N)=O" multiplicity=1 homo_ev=-9.39 homo_lumo_gap_ev=9.812
C 1.572 -1.465 0.316 -0.73
C 0.351 1.159 -0.978 0.63
C 0.802 -0.310 0.924 0.62
N 1.203 2.202 -0.820 -0.83
O 0.232 0.552 -2.034 -0.64
O 1.358 0.456 1.734 -0.58
H 1.770 2.493 -1.604 0.40
H 1.444 2.509 0.116 0.41
H 1.963 -2.077 1.133 0.25
H 2.408 -1.062 -0.260 0.25
H 0.992 -2.107 -0.344 0.23
C -1.415 -1.445 0.103 -0.63
C -0.950 1.066 0.167 0.08
C -0.745 -0.280 0.825 -0.37
O -2.154 1.266 -0.485 -0.69
H -2.205 0.651 -1.239 0.48
H -0.748 1.892 0.850 0.20
H -1.122 -0.250 1.854 0.23
H -1.170 -2.392 0.591 0.22
H -2.503 -1.329 0.087 0.23
H -1.085 -1.531 -0.937 0.22

Arrangement two

21
Properties=species:S:1:pos:R:3:nbo_charge:R:1 method="wB97M-V/def2-TZVPD" charge=0 e_lumo_ev=0.713 smiles="COC[C@@H]1OC(=O)C[C@@H]1N" multiplicity=1 homo_ev=-9.55 homo_lumo_gap_ev=10.258
********

== What to do ==
Return all of the calculation results further up word for word.

== Written answer ==
Arrangement one

18
Properties=species:S:1:pos:R:3:nbo_charge:R:1 method="wB97M-V/def2-TZVPD" charge=0 e_lumo_ev=0.773 smiles=Cc1c[nH]cn1.CO multiplicity=1 homo_ev=-8.82 homo_lumo_gap_ev=9.594
C 1.368 2.753 1.349 -0.25
O 1.208 2.670 -0.039 -0.73
H 1.390 1.791 -0.369 0.48
H 2.284 3.267 1.660 0.15
H 0.551 3.370 1.750 0.17
H 1.335 1.782 1.852 0.18
C -2.095 0.401 -0.075 -0.65
C -1.079 -0.660 -0.355 0.09
C 0.817 -1.634 0.183 0.17
C -0.944 -1.759 -1.120 -0.11
N 0.110 -0.579 0.446 -0.48
N 0.221 -2.383 -0.809 -0.53
H 1.655 -2.100 0.676 0.19
H -2.487 0.907 -0.944 0.23
H -1.702 1.057 0.696 0.25
H 0.511 -3.291 -1.144 0.42
H -1.631 -2.223 -1.804 0.21
H -2.832 -0.147 0.534 0.22

Arrangement two

18
Properties=species:S:1:pos:R:3:nbo_charge:R:1 method="wB97M-V/def2-TZVPD" charge=0 e_lumo_ev=-0.651 multiplicity=1 homo_ev=-8.17 homo_lumo_gap_ev=7.515
C 1.002 2.273 1.062 -0.67
C 1.588 0.056 0.039 -0.76
C 0.909 0.769 0.997 0.45
O 0.107 0.248 1.879 -0.72
H 2.283 0.560 -0.619 0.21
H 0.003 2.711 0.994 0.22
H 1.407 2.556 2.037 0.23
H 1.639 2.688 0.282 0.21
H -0.019 -0.412 -0.743 0.45
H 1.708 -1.016 0.153 0.22
C -1.423 -1.946 0.049 0.14
C -1.430 -0.786 -2.163 0.05
N -0.902 -0.965 -1.028 -0.46
N -1.094 -1.838 1.221 -0.56
H -0.375 -0.805 1.593 0.45
H -2.079 -2.671 -0.449 0.14
H -2.302 -1.368 -2.453 0.20
H -1.020 -0.054 -2.852 0.21

Arrangement three

18
Properties=species:S:1:pos:R:3:nbo_charge:R:1 method="wB97M-V/def2-TZVPD" charge=0 e_lumo_ev="0.750 / 0.752" multiplicity=1 homo_ev="-7.43 / -7.43" homo_lumo_gap_ev="8.185 / 8.186"
C 1.397 1.557 0.451 -0.64
N 0.210 -0.809 -0.278 -0.03
C -1.124 -0.209 -0.111 0.11
N 0.709 -1.745 0.665 -0.66
C -0.908 1.110 -0.623 -0.34
C 0.463 1.346 -0.706 0.00
C -2.122 -0.783 0.574 -0.48
O 0.297 -1.421 -1.554 -0.57
H 1.251 -1.527 -1.697 0.47
H 0.046 -2.514 0.774 0.34
H 0.799 -1.260 1.552 0.36
H -1.626 1.563 -1.289 0.22
H 0.814 1.863 -1.603 0.18
H -3.018 -0.225 0.792 0.21
H -2.099 -1.825 0.860 0.19
H 1.479 2.625 0.648 0.23
H 1.029 1.051 1.343 0.20
H 2.403 1.203 0.204 0.21

Energy ordering: arrangement one at the bottom, the next structure 0.0888 hartree above.

Arrangement one

8
Properties=species:S:1:pos:R:3:nbo_charge:R:1 method="wB97M-V/def2-TZVPD" charge=0 e_lumo_ev=0.288 smiles=COP(Br)Br multiplicity=1 homo_ev=-9.61 homo_lumo_gap_ev=9.902
C -0.765 0.544 -0.939 -0.28
O 0.485 0.170 -0.165 -0.86
P 0.534 -1.191 0.755 0.98
Br 2.758 -1.174 0.844 -0.22
Br 0.067 -0.454 2.783 -0.25
H -0.678 1.624 -0.633 0.22
H -1.723 0.029 -0.587 0.20
H -0.678 0.451 -2.058 0.21

Arrangement two

8
Properties=species:S:1:pos:R:3:nbo_charge:R:1 method="wB97M-V/def2-TZVPD" charge=0 e_lumo_ev="-0.377 / -0.972" multiplicity=1 homo_ev="-8.23 / -8.53" homo_lumo_gap_ev="7.851 / 7.558"
C 0.752 0.361 -0.126 -0.06
O 2.010 0.160 -0.804 -0.68
P -1.476 -0.679 0.850 0.38
Br -2.562 -2.331 -0.322 -0.24
Br -2.539 0.983 0.054 -0.18
H 0.226 1.153 -0.520 0.16
H 0.916 0.497 0.990 0.15
H 2.674 -0.144 -0.122 0.48

Energy ordering: arrangement one at the bottom, the next structure 0.1045 hartree above.

Arrangement one

21
Properties=species:S:1:pos:R:3:nbo_charge:R:1 method="wB97M-V/def2-TZVPD" charge=0 e_lumo_ev=0.424 smiles="CC(=O)[C@H](C)[C@H](O)C(N)=O" multiplicity=1 homo_ev=-9.39 homo_lumo_gap_ev=9.812
C 1.572 -1.465 0.316 -0.73
C 0.351 1.159 -0.978 0.63
C 0.802 -0.310 0.924 0.62
N 1.203 2.202 -0.820 -0.83
O 0.232 0.552 -2.034 -0.64
O 1.358 0.456 1.734 -0.58
H 1.770 2.493 -1.604 0.40
H 1.444 2.509 0.116 0.41
H 1.963 -2.077 1.133 0.25
H 2.408 -1.062 -0.260 0.25
H 0.992 -2.107 -0.344 0.23
C -1.415 -1.445 0.103 -0.63
C -0.950 1.066 0.167 0.08
C -0.745 -0.280 0.825 -0.37
O -2.154 1.266 -0.485 -0.69
H -2.205 0.651 -1.239 0.48
H -0.748 1.892 0.850 0.20
H -1.122 -0.250 1.854 0.23
H -1.170 -2.392 0.591 0.22
H -2.503 -1.329 0.087 0.23
H -1.085 -1.531 -0.937 0.22

Arrangement two

21
Properties=species:S:1:pos:R:3:nbo_charge:R:1 method="wB97M-V/def2-TZVPD" charge=0 e_lumo_ev=0.713 smiles="COC[C@@H]1OC(=O)C[C@@H]1N" multiplicity=1 homo_ev=-9.55 homo_lumo_gap_ev=10.258